Activity:
Now work out how many lines below have the word "to" in them; a number is enough.
Given:
<<<
# 1
KMg6AlO8 | the Materials Project | PBE-GGA | optimized geometry; magnetic moment = 0.02 Bohr magnetons per cell; ΔE to the lowest computed polymorph = 0 meV per atom; energy with MP2020 corrections = -6.085 eV per atom
1.0
8.473 0.000 0.000
0.000 4.464 0.000
0.000 0.000 4.464
O Mg K Al
8 6 1 1
direct
0.000 0.000 0.500
0.500 0.500 0.000
0.209 0.000 0.000
0.791 0.000 0.000
0.247 0.500 0.500
0.500 0.000 0.500
0.753 0.500 0.500
0.000 0.500 0.000
0.745 0.000 0.500
0.255 0.000 0.500
0.745 0.500 0.000
0.255 0.500 0.000
0.000 0.500 0.500
0.500 0.500 0.500
0.500 0.000 0.000
0.000 0.000 0.000

# 2
Zr6Ga16Rh7 | the Materials Project | PBE-GGA | optimized geometry; magnetic moment = 0.54 Bohr magnetons per cell; total energy = -5.8725 eV/atom
1.0
8.153 0.200 -3.286
5.640 -6.490 1.837
2.350 -5.690 -6.277
Ga Rh Zr
16 7 6
direct
0.122 0.634 0.122
0.634 0.122 0.122
0.657 0.657 0.657
0.878 0.878 0.366
0.878 0.878 0.878
0.343 0.972 0.343
0.343 0.343 0.972
0.122 0.122 0.122
0.028 0.657 0.657
0.657 0.028 0.657
0.122 0.122 0.634
0.972 0.343 0.343
0.657 0.657 0.028
0.878 0.366 0.878
0.343 0.343 0.343
0.366 0.878 0.878
0.000 0.500 0.500
0.000 0.000 0.000
0.500 0.500 0.000
0.500 0.000 0.500
0.500 0.000 0.000
0.000 0.500 0.000
0.000 0.000 0.500
0.305 0.695 0.695
0.695 0.305 0.695
0.695 0.695 0.305
0.695 0.305 0.305
0.305 0.695 0.305
0.305 0.305 0.695

# 3
Tm4MnS7 | the Materials Project | PBE-GGA | optimized geometry; magnetic moment = 4.99 Bohr magnetons per cell; energy with MP2020 corrections = -6.745 eV per atom
1.0
-1.379 -3.466 -5.299
1.484 -1.203 -6.192
7.139 -8.824 0.540
Mn S Tm
1 7 4
direct
0.886 0.886 0.421
0.744 0.744 0.641
0.339 0.339 0.051
0.035 0.035 0.225
0.660 0.660 0.949
0.494 0.494 0.498
0.267 0.267 0.352
0.963 0.963 0.785
0.693 0.693 0.203
0.306 0.306 0.803
0.114 0.114 0.568
0.000 0.000 0.005

# 4
ZnCo3 | the Materials Project | PBE-GGA | optimized geometry; magnetic moment = 4.45 Bohr magnetons per cell; total energy = -5.5990 eV/atom
1.0
1.738 3.715 1.547
-2.807 1.895 2.783
1.568 -4.086 -0.250
Zn Co
1 3
direct
0.000 0.000 0.000
0.500 0.500 0.000
0.250 0.750 0.500
0.750 0.250 0.500
>>>
Done:
1